Listing >
┌──
# 1
The following is a GGA-PBE calculation of a geometry-optimized CuCBrN2 structure, from Alexandria via LeMat-Bulk.

For the magnetization, the calculation gives 0.591 μB per atom. The energy above the most stable polymorph in this dataset comes out at 0 meV per atom. The raw formation energy comes out at 2.51 eV/atom.

It has space group P4/mmm (No. 123), with a = 3.729 Å, b = 3.729 Å, c = 4.961 Å, α = 90.00°, β = 90.00° and γ = 90.00°. Symmetry generates all atoms from Cu at (0.000, 0.000, 0.000), C at (0.000, 0.000, 0.500), Br at (0.500, 0.500, 0.500) and N at (0.000, 0.500, 0.000).

# 2
The following is a GGA-PBE calculation of a geometry-optimized Pm4CuCBr2 structure, from Alexandria via LeMat-Bulk.

For the magnetization, the calculation gives 0.000 μB per atom. The raw formation energy comes out at -0.72 eV/atom.

It has space group P2/m (No. 10), with a = 7.093 Å, b = 3.904 Å, c = 7.641 Å, α = 90.00°, β = 106.86° and γ = 90.00°. Symmetry generates all atoms from Pm at (0.204, 0.000, 0.189), Pm at (0.242, 0.500, 0.801), Cu at (0.500, 0.000, 0.000), C at (0.000, 0.500, 0.000), Br at (0.000, 0.000, 0.500) and Br at (0.500, 0.500, 0.500).


[1]
Below is Sm2SiTeO4 after structural relaxation, with properties calculated at the GGA-PBE level.

Cell and atoms, written as extended XYZ:
```
32
Lattice="9.731 0.000 0.000 0.000 6.346 0.000 -0.744 0.000 8.589" Properties=species:S:1:pos:R:3 pbc="T T T"
Sm 0.910 0.976 1.662
Sm 0.538 2.197 5.956
Sm 3.142 4.418 2.876
Sm 2.770 5.101 7.171
Sm 6.218 1.245 1.418
Sm 5.846 1.928 5.712
Sm 8.450 4.149 2.633
Sm 8.078 5.370 6.927
Si 1.184 4.388 0.484
Si 0.812 5.131 4.778
Si 8.176 1.215 3.810
Si 7.804 1.958 8.105
Te 3.683 1.346 3.308
Te 3.311 1.827 7.602
Te 5.676 4.519 0.987
Te 5.305 5.000 5.281
O -0.466 1.229 7.916
O -0.095 1.944 3.622
O 0.565 4.021 7.489
O 0.937 5.498 3.195
O 1.434 3.222 1.582
O 1.062 6.296 5.876
O 2.004 4.018 5.063
O 2.375 5.500 0.769
O 6.612 0.845 7.820
O 6.984 2.327 3.526
O 7.925 0.050 2.712
O 7.554 3.123 7.007
O 8.051 0.848 5.394
O 8.422 2.325 1.100
O 9.082 4.401 4.967
O 9.454 5.117 0.673
```

Properties
* excess energy over the best structure of this formula in the dataset: 8 meV per atom
* VASP energy: -0.279 hartree per atom
* space-group type: P2_1/c (14)

---

[2]
Below is ZrCoP after structural relaxation, with properties calculated at the GGA-PBE level.

Cell and atoms, written as extended XYZ:
```
9
Lattice="6.282 0.000 0.000 -3.141 5.440 0.000 0.000 0.000 3.715" Properties=species:S:1:pos:R:3 pbc="T T T"
Zr -1.845 3.196 0.000
Zr 1.295 2.244 0.000
Zr 3.691 0.000 0.000
Co -0.772 1.337 1.857
Co 1.544 0.000 1.857
Co 2.369 4.103 1.857
P 0.000 0.000 0.000
P 0.000 3.627 1.857
P 3.141 1.813 1.857
```

Properties
* VASP energy: -0.297 hartree per atom
* space-group type: P-62m (189)


DFT (GGA-PBE) results for CaLaY after structural relaxation.

It has space group P4/nmm (No. 129, origin choice 2), with a = 3.698 Å, b = 3.698 Å, c = 16.263 Å, α = 90.00°, β = 90.00° and γ = 90.00°. The distinct sites, in fractional coordinates, are Ca at (0.250, 0.250, 0.091), La at (0.250, 0.250, 0.732) and Y at (0.250, 0.250, 0.423).

As for the density of states at the Fermi level: 4.668 states/eV/f.u. The calculation puts the total energy at -4.43 eV per atom. The formation energy from the elements is 0.038 eV/atom. As for the total magnetization: 0.000 μB/atom. The value obtained for the excess energy over the best structure of this formula in the dataset is 0 meV/atom.


The following is a PBE calculation of an optimized crystal structure of InNi, from Alexandria via LeMat-Bulk.

Cell: 5.285 5.285 4.383 Å, 90.00 90.00 120.00°
Positions (direct):
In (0.000, 0.000, 0.000)
In (0.333, 0.667, 0.500)
In (0.667, 0.333, 0.500)
Ni (0.000, 0.500, 0.000)
Ni (0.500, 0.000, 0.000)
Ni (0.500, 0.500, 0.000)

Values from the calculation:
The final energy is -8.9 eV/f.u. As for the density of states at the Fermi level: 3.0 states/eV per cell. Its formation energy is -0.36 eV per formula unit.
└──
Wanted >
The reader should restate the lines further up unchanged.
Here it is >
# 1
The following is a GGA-PBE calculation of a geometry-optimized CuCBrN2 structure, from Alexandria via LeMat-Bulk.

For the magnetization, the calculation gives 0.591 μB per atom. The energy above the most stable polymorph in this dataset comes out at 0 meV per atom. The raw formation energy comes out at 2.51 eV/atom.

It has space group P4/mmm (No. 123), with a = 3.729 Å, b = 3.729 Å, c = 4.961 Å, α = 90.00°, β = 90.00° and γ = 90.00°. Symmetry generates all atoms from Cu at (0.000, 0.000, 0.000), C at (0.000, 0.000, 0.500), Br at (0.500, 0.500, 0.500) and N at (0.000, 0.500, 0.000).

# 2
The following is a GGA-PBE calculation of a geometry-optimized Pm4CuCBr2 structure, from Alexandria via LeMat-Bulk.

For the magnetization, the calculation gives 0.000 μB per atom. The raw formation energy comes out at -0.72 eV/atom.

It has space group P2/m (No. 10), with a = 7.093 Å, b = 3.904 Å, c = 7.641 Å, α = 90.00°, β = 106.86° and γ = 90.00°. Symmetry generates all atoms from Pm at (0.204, 0.000, 0.189), Pm at (0.242, 0.500, 0.801), Cu at (0.500, 0.000, 0.000), C at (0.000, 0.500, 0.000), Br at (0.000, 0.000, 0.500) and Br at (0.500, 0.500, 0.500).


[1]
Below is Sm2SiTeO4 after structural relaxation, with properties calculated at the GGA-PBE level.

Cell and atoms, written as extended XYZ:
```
32
Lattice="9.731 0.000 0.000 0.000 6.346 0.000 -0.744 0.000 8.589" Properties=species:S:1:pos:R:3 pbc="T T T"
Sm 0.910 0.976 1.662
Sm 0.538 2.197 5.956
Sm 3.142 4.418 2.876
Sm 2.770 5.101 7.171
Sm 6.218 1.245 1.418
Sm 5.846 1.928 5.712
Sm 8.450 4.149 2.633
Sm 8.078 5.370 6.927
Si 1.184 4.388 0.484
Si 0.812 5.131 4.778
Si 8.176 1.215 3.810
Si 7.804 1.958 8.105
Te 3.683 1.346 3.308
Te 3.311 1.827 7.602
Te 5.676 4.519 0.987
Te 5.305 5.000 5.281
O -0.466 1.229 7.916
O -0.095 1.944 3.622
O 0.565 4.021 7.489
O 0.937 5.498 3.195
O 1.434 3.222 1.582
O 1.062 6.296 5.876
O 2.004 4.018 5.063
O 2.375 5.500 0.769
O 6.612 0.845 7.820
O 6.984 2.327 3.526
O 7.925 0.050 2.712
O 7.554 3.123 7.007
O 8.051 0.848 5.394
O 8.422 2.325 1.100
O 9.082 4.401 4.967
O 9.454 5.117 0.673
```

Properties
* excess energy over the best structure of this formula in the dataset: 8 meV per atom
* VASP energy: -0.279 hartree per atom
* space-group type: P2_1/c (14)

---

[2]
Below is ZrCoP after structural relaxation, with properties calculated at the GGA-PBE level.

Cell and atoms, written as extended XYZ:
```
9
Lattice="6.282 0.000 0.000 -3.141 5.440 0.000 0.000 0.000 3.715" Properties=species:S:1:pos:R:3 pbc="T T T"
Zr -1.845 3.196 0.000
Zr 1.295 2.244 0.000
Zr 3.691 0.000 0.000
Co -0.772 1.337 1.857
Co 1.544 0.000 1.857
Co 2.369 4.103 1.857
P 0.000 0.000 0.000
P 0.000 3.627 1.857
P 3.141 1.813 1.857
```

Properties
* VASP energy: -0.297 hartree per atom
* space-group type: P-62m (189)


DFT (GGA-PBE) results for CaLaY after structural relaxation.

It has space group P4/nmm (No. 129, origin choice 2), with a = 3.698 Å, b = 3.698 Å, c = 16.263 Å, α = 90.00°, β = 90.00° and γ = 90.00°. The distinct sites, in fractional coordinates, are Ca at (0.250, 0.250, 0.091), La at (0.250, 0.250, 0.732) and Y at (0.250, 0.250, 0.423).

As for the density of states at the Fermi level: 4.668 states/eV/f.u. The calculation puts the total energy at -4.43 eV per atom. The formation energy from the elements is 0.038 eV/atom. As for the total magnetization: 0.000 μB/atom. The value obtained for the excess energy over the best structure of this formula in the dataset is 0 meV/atom.


The following is a PBE calculation of an optimized crystal structure of InNi, from Alexandria via LeMat-Bulk.

Cell: 5.285 5.285 4.383 Å, 90.00 90.00 120.00°
Positions (direct):
In (0.000, 0.000, 0.000)
In (0.333, 0.667, 0.500)
In (0.667, 0.333, 0.500)
Ni (0.000, 0.500, 0.000)
Ni (0.500, 0.000, 0.000)
Ni (0.500, 0.500, 0.000)

Values from the calculation:
The final energy is -8.9 eV/f.u. As for the density of states at the Fermi level: 3.0 states/eV per cell. Its formation energy is -0.36 eV per formula unit.